Hey, it’s Brian. This article is for informational purposes and is NOT legal advice, cool? Onto the article…

Just the other day, there was some interesting legal news regarding artificial intelligence and the law. 

OpenAI, the company behind the AI software Chat GPT, announced that this “chatbot” was able to pass the bar exam. And, not only that, it was in the top 10% based on its score.

No word yet if ChatGPT is now licensed to practice as a lawyer

Stories like these are interesting to read about. But AI is actually serious business, with the potential for this revolutionary technology to change the world as we know it, in all aspects of our lives. 

## Materials data, as found in the file
(1)
This entry pairs a crystal structure of LiSn3SbP6O24 with its calculated powder XRD pattern. Radiation: Cu Ka. Structure: a cell relaxed with PBE.
Peak positions follow from Bragg's law for the DFT cell and can differ from measured ones.

Largest 12 diffraction maxima, in order of rising 2θ, 2θ = 10–80°:
d_spacing	two_theta	I/Imax
6.207	14.27	15
4.391	20.22	100
4.377	20.29	17
3.743	23.77	21
3.737	23.81	10
3.103	28.77	36
2.780	32.20	24
2.532	35.46	36
2.527	35.53	11
1.962	46.28	13
1.658	55.43	12
1.655	55.52	17

Cell and atoms:
abc: 8.7535 8.7560 8.7842
angles: 90.10 119.78 119.88
Space group P1 (No. 1)
Symmetry-distinct sites (fractional):
Li  0.0000  0.0000  0.0000 [1 per cell]
Sn  0.2990  0.1452  0.4245 [1 per cell]
Sn  0.7242  0.8552  0.5706 [1 per cell]
Sn  0.7278  0.3585  0.0795 [1 per cell]
Sb  0.2907  0.6405  0.9163 [1 per cell]
P  0.2184  0.4565  0.2441 [1 per cell]
P  0.2219  0.2510  0.7560 [1 per cell]
P  0.5044  0.0370  0.2447 [1 per cell]
P  0.5096  0.9567  0.7495 [1 per cell]
P  0.8002  0.5394  0.7436 [1 per cell]
P  0.8036  0.7565  0.2436 [1 per cell]
O  0.0310  0.4269  0.2434 [1 per cell]
O  0.0388  0.0824  0.7570 [1 per cell]
O  0.1889  0.4113  0.7492 [1 per cell]
O  0.2024  0.5024  0.0676 [1 per cell]
O  0.2058  0.2730  0.2293 [1 per cell]
O  0.2160  0.2111  0.5822 [1 per cell]
O  0.3193  0.0360  0.2297 [1 per cell]
O  0.3444  0.7633  0.7435 [1 per cell]
O  0.3773  0.9825  0.5679 [1 per cell]
O  0.3883  0.8793  0.0652 [1 per cell]
O  0.4252  0.6129  0.4251 [1 per cell]
O  0.4296  0.3064  0.9380 [1 per cell]
O  0.5834  0.6959  0.0650 [1 per cell]
O  0.6018  0.3862  0.5550 [1 per cell]
O  0.6219  0.1106  0.9240 [1 per cell]
O  0.6289  0.0040  0.4231 [1 per cell]
O  0.6680  0.2247  0.2512 [1 per cell]
O  0.6882  0.9475  0.7615 [1 per cell]
O  0.7980  0.4846  0.9070 [1 per cell]
O  0.8214  0.7268  0.7585 [1 per cell]
O  0.8221  0.8028  0.4227 [1 per cell]
O  0.8380  0.6021  0.2431 [1 per cell]
O  0.9730  0.9305  0.2322 [1 per cell]
O  0.9953  0.5721  0.7496 [1 per cell]

---

(2)
This entry pairs a crystal structure of TmScZn2 with its calculated powder XRD pattern. Radiation: Cu Ka. Structure: a cell relaxed with PBE.
Peak positions follow from Bragg's law for the DFT cell and can differ from measured ones.

Largest 11 diffraction maxima, in order of rising 2θ, 2θ = 10–80°:
d_spacing	two_theta	I/Imax
3.978	22.35	28
3.445	25.86	5
2.436	36.90	100
2.077	43.57	15
1.989	45.61	1
1.722	53.18	17
1.581	58.38	7
1.541	60.05	2
1.406	66.48	34
1.326	71.10	5
1.218	78.54	10

Cell and atoms:
abc: 6.8899 6.8899 6.8899
angles: 90.00 90.00 90.00
Space group Fm-3m (No. 225)
Symmetry-distinct sites (fractional):
Tm  0.0000  0.0000  0.0000 [4 per cell]
Sc  0.0000  0.0000  0.5000 [4 per cell]
Zn  0.2500  0.2500  0.2500 [8 per cell]

---

(3)
This entry pairs a crystal structure of Dy5Ni2Sb with its calculated powder XRD pattern. Radiation: Cu Ka. Structure: a cell relaxed with PBE.

That includes your work as an online business owner, whether you’re an e-commerce entrepreneur, influencer, content creator, podcaster, vlogger, or whatever else.

AI technology is evolving so fast, that it’s hard to keep up with. And that’s especially true when you look at AI through the lens of the law. 

More on that in just a moment…

First, what exactly are these AI programs?

In the case of ChatGPT, it is “trained” by having it review massive amounts of data, like webpages, documents, reference sources, and more… including legal journal articles and the like. 

This allows the AI to respond to questions, and the technology means it can actually sound human when it does. Sort of like Google on steroids. Or a student cramming for a test. That’s why asking it questions on topics can generate quite impressive and comprehensive essays, news articles, and the like. 

No wonder college professors are so worried about their students using ChatGPT for term papers! It’s actually banned in schools in New York, Los Angeles, and elsewhere, as well as in universities around the world, including Oxford.

In reality, AI is not ready to replace lawyers (or writers, journalists, etc.) because while it is good at responding to questions thanks to already having been given the answers… it is not capable of critical thinking, creativity, or reacting quickly to a new, unexpected situation.

And in some cases, it just completely makes up fake laws and cases.

Still, the rise of AI does bring up some questions that you must consider for your online business as this technology further develops, more companies (like Google, Meta, and Microsoft, to name a few) get into the game, and AI becomes more common. 

Who Owns the Copyright for AI-Generated Content?

As I said, it’s unclear what the future holds for AI. But now is the time that you should start to learn about the potential risks to your online business, as best we understand at this point, as well as the potential opportunities.

One of the first things to consider is who owns a work created by AI? 

I’m talking about written works, of course, but also images generated by AI, which you might have also seen online.

Like written AI content, images are created when a human user gives a prompt. This issue created some controversy last year when an artist used AI software to transform a text prompt into a work that actually won a contest for digital art. Other artists were quite upset!

Either way, so-called expressive works like these look like they could have been produced by humans – if you didn’t know any better. Can these works be copyrighted in that case?

The U.S. Copyright Office is already looking into this question and issued official guidance on the issue just recently, on March 16, 2023. The word for now is:

Only material created by humans can be copyrighted. So, nothing computer-generated, even if a human offers a prompt. 

There is an exception for “partially” AI-generated works. This could be when an author or artist generates material through AI and then selects and arranges it. In that case, that specific arrangement, if done creatively, could be copyrighted. 

It’s important to note that if you apply for a copyright, you must disclose anything that is AI-generated in the work. The Office will examine each application individually with regard to these issues before issuing a copyright.

You can find full details on these new rules here in this announcement from the U.S. Copyright Office in the Federal Register.

I do want to mention some of the other implications of this…

  • If you use AI to create something for your business… and somebody uses something that’s similar (because they gave an AI the same “input”), you can’t sue them for ripping you off.
  • If you plan to use AI-generated content or other works for your business, it’s your responsibility to make sure that the work does not infringe on a copyright. (This could very well be the case considering AI apps are trained on copyrighted works.) 

This is not the last word on this issue from the Copyright Office as AI algorithms are trained on huge amounts of works authored by humans – and many of those works are protected by copyright themselves.

Some AI boosters claim that this practice constitutes “fair use” under copyright law. With fair use, brief excerpts of a previous, copyrighted work can be used in a new work for purposes of criticism, news reporting, teaching, or research.

It must done in a limited way and with a transformative purpose.

For example, it would be fair use for a music blogger to quote lyrics from a song in a post reviewing an artist’s new album. Parodies are another form of expression protected by fair use.

For more info on fair use, see this article on fair use for content creators.

However, many legal scholars disagree that having an AI absorb reams of creative works to spit out new works is protected under this doctrine. And many companies and creators are starting to feel the same way. 

In fact, there are several lawsuits centered on this issue:

  1. There is a class-action suit filed by a group of visual artists against DeviantArt, Midjourney, and Stability AI claiming that these AIs are being trained on protected works – and that it constitutes infringement. 
  2. Stock photo company Getty Images is also suing Stability AI for the same reason.
  3. The New York Times is also suing Microsoft and OpenAI, alleging copyright infringement, among other things.

These lawsuits are still ongoing. And there are more sure to come as AI becomes more common. It’s an evolving issue. One that you, as an online business owner, must keep a close eye on.

Using AI-Generated Works… in Your Work

On this issue, the law and rules and regulations are one thing. But you must also consider the ethical implications of using AI in your online business. 

As an online business owner, if you start using AI-generated content, should you disclose it?

For example, say you use AI to write a blog post. Should you include that disclaimer? If you are hired by a client to create a unique artwork or design… is it okay to use something created by AI and not tell them? 

Sports Illustrated received a lot of public pushback after it was revealed they were publishing stories using AI.

These are questions only you can answer. 

But my recommendation at this point is to make those disclosures. And to avoid inadvertently infringing on a copyright, you could use AI as a starting point and then put your own touch on the final work.